********
# 1
# C6H10O

C6H10O as an isolated structure (ωB97M-V with the def2-TZVPD basis set, the Open Molecules 2025 dataset).

Each line ends with the natural charge from an NBO analysis.
Geometry (Å):
O1 0.74 2.23 -0.61  -0.52
C1 2.29 0.44 -1.06  -0.70
C2 0.94 1.03 -0.73  0.56
C3 -0.13 0.08 -0.57  -0.13
C4 -0.79 -0.72 0.23  0.10
C5 -0.87 -1.65 1.36  -0.66
C6 -1.56 -0.23 -0.95  -0.40
H1 -1.71 -1.38 2.00  0.23
H2 -2.35 0.49 -0.80  0.18
H3 2.29 0.13 -2.11  0.24
H4 2.47 -0.44 -0.44  0.23
H5 -0.69 2.20 1.44  0.03
H6 3.07 1.18 -0.91  0.23
H7 0.06 -1.64 1.94  0.23
H8 -1.04 -2.66 1.00  0.24
H9 -1.02 1.78 2.01  -0.03
H10 -1.71 -0.86 -1.82  0.18

Properties
Highest occupied orbital energy: -9.264 eV
DFT total energy: -8428.19571 eV



# 2
# C10H7N2O5Pb

C10H7N2O5Pb as an isolated structure (ωB97M-V with the def2-TZVPD basis set, the Open Molecules 2025 dataset).

Each line ends with the natural charge from an NBO analysis.
Geometry (Å):
Pb1 -0.04 -0.01 -0.80  1.01
O1 1.05 0.03 -4.99  -0.36
O2 -0.18 3.74 -0.35  -0.31
O3 -3.31 -0.05 1.13  -0.31
O4 3.43 0.03 -2.10  -0.30
O5 -0.15 -3.76 -0.25  -0.31
N1 2.38 0.11 6.01  -0.42
N2 0.94 0.07 2.10  -0.40
C1 -0.16 -2.66 -0.57  0.50
C2 1.31 1.25 4.19  -0.14
C3 1.49 -1.04 2.65  0.04
C4 -2.41 -0.03 0.43  0.47
C5 -0.20 2.64 -0.65  0.50
C6 1.90 0.09 4.75  0.18
C7 0.85 1.19 2.86  0.04
C8 0.53 0.03 -3.95  0.46
C9 2.31 0.00 -1.89  0.48
C10 1.99 -1.08 3.96  -0.14
H1 2.46 -1.96 4.39  0.28
H2 0.39 2.07 2.40  0.24
H3 1.26 2.16 4.79  0.28
H4 2.80 -0.72 6.41  0.45
H5 1.54 -1.94 2.02  0.23
H6 2.31 0.96 6.57  0.46
H7 -1.63 -0.04 -1.82  0.07

Properties
Net charge: +3
Highest occupied orbital energy (spin up / spin down): -20.953 / -20.626 eV
DFT total energy: -28913.25453 eV



# 3
# C17H33B2N4O9S

A 2-piece molecular cluster, C17H33B2N4O9S overall (ωB97M-V with the def2-TZVPD basis set, the Open Molecules 2025 dataset).

Each line ends with the natural charge from an NBO analysis.
Geometry (Å):
S1 -2.86 3.28 -1.17  2.57
O1 -1.95 2.81 -2.30  -1.06
O2 -3.91 2.25 -0.96  -1.12
O3 -0.13 3.04 1.13  -0.87
O4 -3.47 4.56 -1.55  -1.06
O5 -1.79 -2.39 -4.15  -0.93
O6 5.13 -0.74 0.94  -0.56
O7 -3.96 0.34 1.06  -0.71
O8 -2.01 3.42 0.04  -1.08
O9 0.22 -1.20 -4.81  -0.91
N1 2.02 2.13 0.34  -0.74
N2 3.34 -1.90 1.86  -0.52
N3 -1.98 -0.68 -0.22  -0.14
N4 -2.16 -0.73 -1.54  -0.30
C1 -5.14 -1.26 -0.24  -0.65
C2 -1.72 0.13 -3.73  -0.84
C3 -4.13 -1.04 0.91  0.09
C4 0.29 -0.36 2.49  -0.40
C5 2.43 3.57 0.31  -0.41
C6 -1.06 0.18 1.94  -0.47
C7 -2.78 -1.67 0.53  -0.23
C8 3.59 -1.13 3.09  -0.42
C9 2.23 -1.28 1.10  -0.23
C10 -0.56 1.06 -1.67  -0.07
C11 0.86 -1.59 1.73  -0.42
C12 -1.18 0.14 0.45  0.36
C13 -1.49 0.13 -2.23  0.38
C14 4.55 -1.79 1.08  0.73
C15 5.15 -3.04 0.45  -0.72
C16 2.53 1.57 -0.94  -0.41
C17 -0.41 1.05 -0.28  -0.42
B1 -1.06 -1.21 -4.27  1.17
B2 0.56 2.10 0.40  1.17
H1 1.06 -2.35 2.49  0.22
H2 0.16 -2.03 1.02  0.21
H3 -2.80 0.05 -3.85  0.26
H4 -1.15 1.24 2.21  0.28
H5 -4.77 0.82 0.88  0.51
H6 -5.01 -0.51 -1.01  0.26
H7 0.10 -0.67 3.52  0.21
H8 4.55 -1.42 3.52  0.20
H9 0.74 -1.83 -4.29  0.49
H10 2.14 2.18 -1.76  0.18
H11 3.40 3.67 -0.19  0.19
H12 3.64 -0.05 2.91  0.20
H13 1.00 0.46 2.56  0.21
H14 -1.37 1.05 -4.18  0.27
H15 3.62 1.62 -0.99  0.20
H16 1.72 4.19 -0.24  0.21
H17 -5.02 -2.24 -0.72  0.19
H18 2.54 3.90 1.35  0.19
H19 2.42 -0.20 1.12  0.21
H20 -2.98 -2.48 -0.17  0.22
H21 -1.83 -2.58 -3.20  0.50
H22 -6.17 -1.23 0.13  0.20
H23 2.30 -1.56 0.04  0.20
H24 6.23 -2.89 0.40  0.23
H25 2.16 0.55 -1.06  0.20
H26 -1.86 -0.32 2.47  0.23
H27 0.00 1.72 -2.30  0.26
H28 -4.56 -1.45 1.84  0.16
H29 2.82 -1.32 3.84  0.20
H30 4.98 -3.92 1.07  0.23
H31 0.23 3.12 2.03  0.48
H32 -2.24 -2.12 1.36  0.21
H33 4.81 -3.18 -0.58  0.24

Properties
Net charge: -1
Highest occupied orbital energy: -3.452 eV
DFT total energy: -54742.53896 eV



# 4
# C5H10N2O

One molecule with the formula C5H10N2O (ωB97M-V with the def2-TZVPD basis set, the Open Molecules 2025 dataset).

Each line ends with the natural charge from an NBO analysis.
Geometry (Å):
********

Please copy everything above without altering anything.

# 1
# C6H10O

C6H10O as an isolated structure (ωB97M-V with the def2-TZVPD basis set, the Open Molecules 2025 dataset).

Each line ends with the natural charge from an NBO analysis.
Geometry (Å):
O1 0.74 2.23 -0.61  -0.52
C1 2.29 0.44 -1.06  -0.70
C2 0.94 1.03 -0.73  0.56
C3 -0.13 0.08 -0.57  -0.13
C4 -0.79 -0.72 0.23  0.10
C5 -0.87 -1.65 1.36  -0.66
C6 -1.56 -0.23 -0.95  -0.40
H1 -1.71 -1.38 2.00  0.23
H2 -2.35 0.49 -0.80  0.18
H3 2.29 0.13 -2.11  0.24
H4 2.47 -0.44 -0.44  0.23
H5 -0.69 2.20 1.44  0.03
H6 3.07 1.18 -0.91  0.23
H7 0.06 -1.64 1.94  0.23
H8 -1.04 -2.66 1.00  0.24
H9 -1.02 1.78 2.01  -0.03
H10 -1.71 -0.86 -1.82  0.18

Properties
Highest occupied orbital energy: -9.264 eV
DFT total energy: -8428.19571 eV



# 2
# C10H7N2O5Pb

C10H7N2O5Pb as an isolated structure (ωB97M-V with the def2-TZVPD basis set, the Open Molecules 2025 dataset).

Each line ends with the natural charge from an NBO analysis.
Geometry (Å):
Pb1 -0.04 -0.01 -0.80  1.01
O1 1.05 0.03 -4.99  -0.36
O2 -0.18 3.74 -0.35  -0.31
O3 -3.31 -0.05 1.13  -0.31
O4 3.43 0.03 -2.10  -0.30
O5 -0.15 -3.76 -0.25  -0.31
N1 2.38 0.11 6.01  -0.42
N2 0.94 0.07 2.10  -0.40
C1 -0.16 -2.66 -0.57  0.50
C2 1.31 1.25 4.19  -0.14
C3 1.49 -1.04 2.65  0.04
C4 -2.41 -0.03 0.43  0.47
C5 -0.20 2.64 -0.65  0.50
C6 1.90 0.09 4.75  0.18
C7 0.85 1.19 2.86  0.04
C8 0.53 0.03 -3.95  0.46
C9 2.31 0.00 -1.89  0.48
C10 1.99 -1.08 3.96  -0.14
H1 2.46 -1.96 4.39  0.28
H2 0.39 2.07 2.40  0.24
H3 1.26 2.16 4.79  0.28
H4 2.80 -0.72 6.41  0.45
H5 1.54 -1.94 2.02  0.23
H6 2.31 0.96 6.57  0.46
H7 -1.63 -0.04 -1.82  0.07

Properties
Net charge: +3
Highest occupied orbital energy (spin up / spin down): -20.953 / -20.626 eV
DFT total energy: -28913.25453 eV



# 3
# C17H33B2N4O9S

A 2-piece molecular cluster, C17H33B2N4O9S overall (ωB97M-V with the def2-TZVPD basis set, the Open Molecules 2025 dataset).

Each line ends with the natural charge from an NBO analysis.
Geometry (Å):
S1 -2.86 3.28 -1.17  2.57
O1 -1.95 2.81 -2.30  -1.06
O2 -3.91 2.25 -0.96  -1.12
O3 -0.13 3.04 1.13  -0.87
O4 -3.47 4.56 -1.55  -1.06
O5 -1.79 -2.39 -4.15  -0.93
O6 5.13 -0.74 0.94  -0.56
O7 -3.96 0.34 1.06  -0.71
O8 -2.01 3.42 0.04  -1.08
O9 0.22 -1.20 -4.81  -0.91
N1 2.02 2.13 0.34  -0.74
N2 3.34 -1.90 1.86  -0.52
N3 -1.98 -0.68 -0.22  -0.14
N4 -2.16 -0.73 -1.54  -0.30
C1 -5.14 -1.26 -0.24  -0.65
C2 -1.72 0.13 -3.73  -0.84
C3 -4.13 -1.04 0.91  0.09
C4 0.29 -0.36 2.49  -0.40
C5 2.43 3.57 0.31  -0.41
C6 -1.06 0.18 1.94  -0.47
C7 -2.78 -1.67 0.53  -0.23
C8 3.59 -1.13 3.09  -0.42
C9 2.23 -1.28 1.10  -0.23
C10 -0.56 1.06 -1.67  -0.07
C11 0.86 -1.59 1.73  -0.42
C12 -1.18 0.14 0.45  0.36
C13 -1.49 0.13 -2.23  0.38
C14 4.55 -1.79 1.08  0.73
C15 5.15 -3.04 0.45  -0.72
C16 2.53 1.57 -0.94  -0.41
C17 -0.41 1.05 -0.28  -0.42
B1 -1.06 -1.21 -4.27  1.17
B2 0.56 2.10 0.40  1.17
H1 1.06 -2.35 2.49  0.22
H2 0.16 -2.03 1.02  0.21
H3 -2.80 0.05 -3.85  0.26
H4 -1.15 1.24 2.21  0.28
H5 -4.77 0.82 0.88  0.51
H6 -5.01 -0.51 -1.01  0.26
H7 0.10 -0.67 3.52  0.21
H8 4.55 -1.42 3.52  0.20
H9 0.74 -1.83 -4.29  0.49
H10 2.14 2.18 -1.76  0.18
H11 3.40 3.67 -0.19  0.19
H12 3.64 -0.05 2.91  0.20
H13 1.00 0.46 2.56  0.21
H14 -1.37 1.05 -4.18  0.27
H15 3.62 1.62 -0.99  0.20
H16 1.72 4.19 -0.24  0.21
H17 -5.02 -2.24 -0.72  0.19
H18 2.54 3.90 1.35  0.19
H19 2.42 -0.20 1.12  0.21
H20 -2.98 -2.48 -0.17  0.22
H21 -1.83 -2.58 -3.20  0.50
H22 -6.17 -1.23 0.13  0.20
H23 2.30 -1.56 0.04  0.20
H24 6.23 -2.89 0.40  0.23
H25 2.16 0.55 -1.06  0.20
H26 -1.86 -0.32 2.47  0.23
H27 0.00 1.72 -2.30  0.26
H28 -4.56 -1.45 1.84  0.16
H29 2.82 -1.32 3.84  0.20
H30 4.98 -3.92 1.07  0.23
H31 0.23 3.12 2.03  0.48
H32 -2.24 -2.12 1.36  0.21
H33 4.81 -3.18 -0.58  0.24

Properties
Net charge: -1
Highest occupied orbital energy: -3.452 eV
DFT total energy: -54742.53896 eV



# 4
# C5H10N2O

One molecule with the formula C5H10N2O (ωB97M-V with the def2-TZVPD basis set, the Open Molecules 2025 dataset).

Each line ends with the natural charge from an NBO analysis.
Geometry (Å):